



While this question asked something similar too, I'm interested in this from another angle. I'm not interested in the GUI part but in the database/domain part.

(My preference is SQL Server with C#/ASP.NET but this Q should be language agnostic.)

When designing a CMS system, data needs to be stored in tables and a business layer needs to provide access to this data. First of all, a user database with user roles, of course. A mailbox for private messages per user would be nice. Allowing users to set up their own profiles with images and eye-candy would make it even more interesting but let's not focus on the users.

What else should there be in the database for a CMS system? And how should it relate to the other tables?

My focus is to get a clear domain model to use as a basis for any CMS system. Something they all share in common. I'm only interested in the design, so I can later evaluate sseveral existing systems with the preferred domain model, to see which one matches the most ideal situation.

+4  A: 

You need to decide what features your application needs, and what features beyond that you want to have in your application. From there you can work out what needs to go in your database. You're thinking about this backwards. The database supports the application, not the other way around (unless you're writing phpMyAdmin or similar!).

Matthew Scharley
Fine, but what about the most generic features that a CMS system would have? All CMS systems do share some specific functionality, often blogs or forums and galleries.
Workshop Alex
Again, it depends entirely on what you want to do. You might want blogs, forums and galleries, but I might want a way to edit simple pages with a list of links added on, like is actually on my website.
Matthew Scharley
Infact, my website, which is a Content Management System by definition, since it manages and allows me to edit my content is nothing like what I imagine you would define a CMS to be. My CMS doesn't have a concept of users besides the single admin user.
Matthew Scharley
+2  A: 

If it's a CMS for [I assume] dynamically maintaining a website, the first and foremost features should enable the users to:

  • Add/Edit/Remove pages (aka. nodes) - the structure of the site
  • Add/Edit/Remove menus, links - the navigation of the site
  • Add edit media (photos, video, etc.) - the content of the site

Then you can think of the other website-specific management features such as:

  • Managing products/customers if it's going to manage e-commerce websites
  • Various kinds of interactivity features -- comment/contact forms, etc.

A CMS is a big project to tackle, specially if you want to make it portable and/or reusable, expandable. I have already come through three versions of my own CMS -- first two versions in PHP and the latest one in .NET.

Someone pasted materials data at this point =
'''
1.
# CaAcZn10 | Alexandria | PBE-GGA | relaxed
data_CaAcZn10
_chemical_formula_sum 'Ca1 Ac1 Zn10'
_cell_length_a 4.308
_cell_length_b 5.451
_cell_length_c 9.544
_cell_angle_alpha 90.00
_cell_angle_beta 90.00
_cell_angle_gamma 90.00
_space_group_name_H-M_alt 'P m m m'
_space_group_IT_number 47
loop_
_space_group_symop_operation_xyz
'x,y,z'
'-x,-y,-z'
'-x,-y,z'
'x,y,-z'
'x,-y,-z'
'-x,y,z'
'-x,y,-z'
'x,-y,z'
loop_
_atom_site_label
_atom_site_fract_x
_atom_site_fract_y
_atom_site_fract_z
Ca1 0.000 0.000 0.000
Ac1 0.000 0.500 0.500
Zn1 0.000 0.000 0.317
Zn2 0.000 0.500 0.157
Zn3 0.500 0.000 0.500
Zn4 0.500 0.250 0.248
Zn5 0.500 0.500 0.000
# * mass density: 6.825 g cm⁻³
# * energy of formation: -0.24 eV/atom
# * total magnetic moment: 0.00 μB/atom
# * raw total energy: -21.68 eV per cell

=====

2.
# Pr8AgAu2 | Alexandria | PBE-GGA | relaxed
data_Pr8AgAu2
_chemical_formula_sum 'Pr16 Ag2 Au4'
_cell_length_a 19.041
_cell_length_b 5.300
_cell_length_c 7.129
_cell_angle_alpha 90.00
_cell_angle_beta 107.77
_cell_angle_gamma 90.00
_space_group_name_H-M_alt 'C 1 2/m 1'
_space_group_IT_number 12
loop_
_space_group_symop_operation_xyz
'x,y,z'
'-x,-y,-z'
'-x,y,-z'
'x,-y,z'
'x+1/2,y+1/2,z'
'-x+1/2,-y+1/2,-z'
'-x+1/2,y+1/2,-z'
'x+1/2,-y+1/2,z'
loop_
_atom_site_label
_atom_site_fract_x
_atom_site_fract_y
_atom_site_fract_z
Pr1 0.024 0.000 0.275
Pr2 0.091 0.500 0.972
Pr3 0.170 0.500 0.497
Pr4 0.200 0.000 0.841
Ag1 0.000 0.500 0.500
Au1 0.175 0.000 0.240
# * mass density: 7.897 g cm⁻³
# * energy of formation: -0.31 eV/atom
# * total magnetic moment: 0.00 μB/atom
# * raw total energy: -102.01 eV per cell
# * energy above the lowest structure with this stoichiometry: 0 meV/atom

=====

3.
# SrCaTa2 | Alexandria | PBE-GGA | relaxed
data_SrCaTa2
_chemical_formula_sum 'Sr4 Ca4 Ta8'
_cell_length_a 7.467
_cell_length_b 7.467
_cell_length_c 7.467
_cell_angle_alpha 90.00
_cell_angle_beta 90.00
_cell_angle_gamma 90.00
_space_group_name_H-M_alt 'F m -3 m'
_space_group_IT_number 225
_space_group_name_Hall '-F 4 2 3'
loop_
_atom_site_label
_atom_site_fract_x
_atom_site_fract_y
_atom_site_fract_z
Sr1 0.000 0.000 0.000
Ca1 0.000 0.000 0.500
Ta1 0.250 0.250 0.250
# * mass density: 7.810 g cm⁻³
# * energy of formation: 1.54 eV/atom
# * total magnetic moment: 0.00 μB/atom
# * raw total energy: -84.95 eV per cell
# * energy above the lowest structure with this stoichiometry: 1104 meV/atom

=====

4.
# CuAsRh2 | Alexandria | PBE-GGA | relaxed
data_CuAsRh2
_chemical_formula_sum 'Cu2 As2 Rh4'
_cell_length_a 5.535
_cell_length_b 8.373
_cell_length_c 2.842
_cell_angle_alpha 90.00
_cell_angle_beta 118.55
_cell_angle_gamma 90.00
_space_group_name_H-M_alt 'C 1 2/m 1'
_space_group_IT_number 12
loop_
_space_group_symop_operation_xyz
'x,y,z'
'-x,-y,-z'
'-x,y,-z'
'x,-y,z'
'x+1/2,y+1/2,z'
'-x+1/2,-y+1/2,-z'
'-x+1/2,y+1/2,-z'
'x+1/2,-y+1/2,z'
loop_
_atom_site_label
_atom_site_fract_x
_atom_site_fract_y
_atom_site_fract_z
Cu1 0.000 0.000 0.000
As1 0.000 0.500 0.000
Rh1 0.250 0.250 0.500
'''

Cristi Cotovan
So, a Pages table, a Menus table, a Media table for generic purpose. Of course linked to the user who created/uploaded them, plus additional data for revisions. :-) We're slowly getting there! Is there more?
Workshop Alex
Oh, Table... Domain... There would be the Page domain, the Menu domain and the Media domain as three generic domains within the larger model.
Workshop Alex
+1  A: 

What you are asking is a technology question, which is not necessary related to the features the CMS itself has. My advice and the way I would approach it would be to use an ORM. The reason is that when you start designing the database you fall into the niche of DB concepts. The purpose of a CMS is to provide an easy way to manage content.

In this regard, extensibility is far more important than your database design and the user will not be able to see the database design. In short, start with an API, or if that is too much - just start with what you need to expose to the topmost layer. Then just somehow map this to the database without thinking about the structure itself. In this way, you would be concentrating on the problem you are solving rather than on the technology that might be needed to solve it. It feels more natural that way.

No, more a design question. I'm focusing on the domain model, which should be in-between the database model and the GUI. Consider it a logical data model.
Workshop Alex
+1  A: 

While design Database for CMS,must be care full about Product/content data tables,registered user data tables and UI related changes data tables.

UI related data is nothing but a themes,skin which is most important.

Most of the CMS application has developed as requirement most of the times need to break the relation ship in tables and normalization rule.

But if we careful about some basic db structure which is Content pages or content data tables,Product tables,User permission tables(if using aspnet tables then its better),Order management table(for e-commerce sites) etc.

As well as business layer doing most important role when some big changes comes in CMS Project.

Some times tables have a big changes which not effect on pages,need to change in business layer.

Mangesh Deshpande